Source:
'''
[1]
Diffraction record for PaFe4P4. The XRD peak list is calculated, not measured: it uses a structure optimized by DFT (PBE) and Cu Ka.
Neutral-atom scattering factors, no anomalous dispersion.

Largest 12 diffraction maxima, in order of rising 2θ, 2θ from 15° to 90°:
- 2θ 19.87, intensity 34
- 2θ 22.37, intensity 19
- 2θ 31.85, intensity 19
- 2θ 33.16, intensity 35
- 2θ 37.82, intensity 100
- 2θ 40.05, intensity 41
- 2θ 40.37, intensity 17
- 2θ 51.42, intensity 14
- 2θ 52.31, intensity 14
- 2θ 60.74, intensity 16
- 2θ 62.34, intensity 19
- 2θ 69.59, intensity 15

Atomic structure:
Unit cell a=5.6192 b=5.6192 c=7.3706 alpha=90.00 beta=90.00 gamma=90.00
Sites, in units of the cell vectors:
Pa: 0.2500 0.7500 0.2500
Pa: 0.7500 0.2500 0.7500
Fe: 0.0233 0.2500 0.1244
Fe: 0.2500 0.0233 0.6244
Fe: 0.2500 0.4767 0.6244
Fe: 0.4767 0.2500 0.1244
Fe: 0.5233 0.7500 0.8756
Fe: 0.7500 0.5233 0.3756
Fe: 0.7500 0.9767 0.3756
Fe: 0.9767 0.7500 0.8756
P: 0.0418 0.2500 0.4240
P: 0.2500 0.0418 0.9240
P: 0.2500 0.4582 0.9240
P: 0.4582 0.2500 0.4240
P: 0.5418 0.7500 0.5760
P: 0.7500 0.5418 0.0760
P: 0.7500 0.9582 0.0760
P: 0.9582 0.7500 0.5760

***

[2]
Diffraction record for Pa2Fe5P4. The XRD peak list is calculated, not measured: it uses a structure optimized by DFT (PBE) and Cu Ka.
Neutral-atom scattering factors, no anomalous dispersion.

Largest 12 diffraction maxima, in order of rising 2θ, 2θ from 15° to 90°:
- 2θ 20.73, intensity 52
- 2θ 28.60, intensity 91
- 2θ 34.13, intensity 87
- 2θ 34.94, intensity 42
- 2θ 39.70, intensity 100
- 2θ 40.29, intensity 89
- 2θ 44.53, intensity 55
- 2θ 57.85, intensity 29
- 2θ 61.20, intensity 26
- 2θ 65.33, intensity 26
- 2θ 71.84, intensity 30
- 2θ 72.04, intensity 26

Atomic structure:
Unit cell a=7.8825 b=6.9587 c=5.2417 alpha=79.12 beta=60.11 gamma=40.77
Sites, in units of the cell vectors:
Pa: 0.1331 0.1331 0.8669
Pa: 0.8669 0.8669 0.1331
Fe: 0.0000 0.0000 0.5000
Fe: 0.2500 0.2500 0.2500
Fe: 0.5000 0.5000 0.0000
Fe: 0.5000 0.5000 0.5000
Fe: 0.7500 0.7500 0.7500
P: 0.2129 0.5253 0.4747
P: 0.4747 0.7871 0.2129
P: 0.5253 0.2129 0.7871
P: 0.7871 0.4747 0.5253
'''

To do:
Please duplicate every line further above that contains the word "PaFe4P4".

Written answer:
Diffraction record for PaFe4P4. The XRD peak list is calculated, not measured: it uses a structure optimized by DFT (PBE) and Cu Ka.